Ocean Point Maine September 2019
When I launched my own consulting practice a year ago, it was a time of real disruption for me and a season of transition. Stepping away from the old thing without the new thing being fully formed.
As has often been my practice when I am navigating something new, I go into a time of deep immersion learning, even as I continue to move into the new thing. A bit of “writing the instruction manual while flying the plane”. ( I am an Enneagram 8, after all)
My learning journey took me towards a number of things including a coaching certification in the Designing Your Life vocational discernment process, engaging premium content from David Snowden and the folks at the Cognitive Edge, focused on navigating complexity, and experiencing the second of two immersion experiences with Change Leadership Wizard Daryl Connor.
And so, over the last year I have leveraged my learning and integrated it into resources and tools for my clients. Much of this seems to be particularly relevant and useful for the strange times we are now living in and through
This week I had the chance to collaborate with two trusted colleagues around how I am serving and advising my clients and friends in Corona times.
Exceptional Leadership in Times of Crisis, an interview with Deb Knupp, Managing Director at Growth Play.
Care and Curiosity in Chaos, a conversation with Michaela O’Donnell Long of the De Pree Center for Leadership
Here are some highlights…
Seek Opportunities without becoming Opportunistic
If you had to describe the current crisis as an opportunity for exceptional leadership, how would you describe it?
Well first let’s just acknowledge the reality of the crisis. It is a big one, it is unprecedented and It is far from over. In the familiar words of Jim Collins we must first confront the Brutal Facts, not all of which we can even know yet. But as we glimpse bits and pieces of the realities we are now facing, It is from THAT place that we can begin to seek out the opportunities. I also believe and am seeing those who are truly searching for and creating the real opportunities and those who are being opportunistic. There is a distinct difference. The exceptional leaders will be firmly grounded in reality, while demonstrating and communicating hope. False optimism will not be believed. Fear-based behavior will paralyze and take an organization down or community down. And the critical thing to listen for in the exceptional leader is one small phrase: “I don’t know” which demonstrates both courage and vulnerability.
Choose Effectiveness over Efficiency
As we examine the past couple of weeks with remote working, how do you anticipate a new era of “virtualization” will positively and negatively affect organizational culture?
The positive is, as one client said to me late last week, zoom meetings can be more efficient, they don’t take as long. And that is true. They still allow us some measure of contact, but there is not much wasted time. You don’t spend the first 15 minutes of the meeting chatting while people get their coffee and get settled. I think we will learn where we can virtualize to optimize time and efficiency, but we are also already seeing that it is far from a replacement for real human interaction.
The shadow of that is that we will try to cram ever more interactions in to our day in the name of efficiency and the reality is that if we do not give ourselves room to process each meeting we will actually become less productive, less efficient. I think we will also become more transactional in our exchanges, and less relational. And what we all need right now, whether we can acknowledge it or not, is relationship.
Creating space for true connection will be a crucial success factor to sustaining or building a healthy culture in the short term, so that when we do come back together we have not lost, but rather built connection and cohesion.
Create Space for Innovation, not Business as Usual
What advice are you giving to your clients to anticipate, prepare and plan to create environments that can grow and prosper despite distress?
Colleagues of mine who run an entrepreneurial incubator and accelerator published an essay about two weeks ago, entitled Leading Beyond the Blizzard: why every organization is now a start up. In it they used the metaphor of the Blizzard, the Winter and the Ice Age.
Their helpful purpose was to communicate that we are currently in the blizzard, reacting and responding. But if these conditions of shelter in place continue for longer than a week or two, and it looks like they will, then we enter a long winter and our planning needs to take a different perspective. So how do we capture the ingenuity and creativity of everyone in our organization to think through how we adjust adapt and innovate to move forward differently. The truth is that some businesses will not survive this. That is hard and sad and true. But many can and will if they create space for new things to emerge.
Pursue Curiosity over Command/Control
In my experience, leaders generally default to command/control style when they are in crisis and may miss out on the benefits and innovation that can come from teams. What is your perspective on this?
This is absolutely true. Leaders, most anyway, are problem solvers which often requires a command/control style. And this is good and necessary. BUT NOT ENOUGH and must quickly pass if they are going to realize potential and see where the opportunities lie for their organization and community. I read this great piece this week in a Forbes article:
“A leader’s immediate job is not to discover patterns but to stanch the bleeding. A leader must first act to establish order, then sense where stability is present and from where it is absent, and then respond by working to transform the situation from chaos to complexity, where the identification of emerging patterns can both help prevent future crises and discern new opportunities.
This means that what your organization needs from you right now is fast and effective decision-making and communication, top-down, until order is restored. Establish the necessary (temporary) policy changes around things like compensation, travel and work-from-home, allocate resources to protect your people, make sure there’s infrastructure for people to be working remotely, and so on. There is no time to ask for input.
Once strong leadership has helped the organization stanch the bleeding and calm the immediate crisis (likely a few days or weeks), you will shift from dealing with chaos to dealing with complexity. Once in that domain, where unpredictability and flux continue but instructive patterns can emerge (as Snowden says), you must recognize that you still can’t know answers in advance, but best answers and decisive action will emerge if you engage the right mix of people in planning. This is the time to set aside command-and-control for collaboration. As Snowden says,
“Leaders who try to impose order in a complex context will fail, but those who set the stage, step back a bit, allow patterns to emerge, and determine which ones are desirable will succeed. They will discern many opportunities for innovation, creativity, and new business models.
Leaders who cannot make these shifts—from Clear, to Complicated to Chaotic and then into Complexity and back again; who have not developed the skills to pause and reflect however briefly in this moment, will be the ones whose organizations will struggle to become “exaptive” and will likely not survive this season. “
Moving from an Abundance Mindset, not a scarcity mindset.
While fear and anxiety can produce a scarcity mindset, how have you seen leaders choose to engage an abundance mindset?
I think effective leaders right now are working on contingency planning, stanching the bleeding, tightening everything they can tighten. Preparing for layoffs, and more. And they should. But the exceptional leader is also thinking about how they move into a place of caring and service. I learned of several business owners this week, even as they were making hard decisions, were able to launch a platform in their organizations that allowed for a benevolence fund to be established so that immediate needs could be met for employees whose hours may be cut back or where a spouse has lost work. Similarly, a group of churches in the Denver metro area is doing the same thing. I read of another organization whose business is closed and is able to keep paying its employees, partnering with local restaurants to purchase and deliver food to frontline workers. Keeping local restaurants in business and giving people a way to safely contribute. I am seeing sacrificial leaders, taking enormous pay cuts or reducing their own salaries to near nothing so that they can continue to pay their employees, even when they cannot work. All kinds of businesses are offering their best content online to serve others, many of whom they might otherwise view as competitors. This kind of abundance and generosity is what will help us to care for one another in ways big and small, navigating this season.
Beyond the short term, how can leaders choose to be exceptional and drive future value?
I believe it comes down to this: they will constituently and congruently be demonstrating generosity. They will seek to add value in every interaction, not for something in return but simply because they genuinely want to serve and care for their neighbors. Not because they will receive anything to do, but because in these times, it is right and just.
My favorite passage from the Hebrew bible on this comes from the prophet Habakuk 2:
“I will stand at my watch
_Here the page breaks off for data records_
=====
w.
Material: PuNiC
Method: DFT, PBE
State: optimized geometry

Calculated values
- density of states at the Fermi level (states/eV/atom) = 2.3409

Cell lengths 5.4265, 3.3263, 5.5367 Å; angles 90.00, 119.20, 90.00 degrees
Space group P2/m (No. 10)
Symmetry-distinct sites (fractional):
Pu (0.1370, 0.0000, 0.2750) x2
Ni (0.3752, 0.5000, 0.7491) x2
C (0.2355, 0.5000, 0.9997) x2

---

x.
Material: PuNiC
Method: DFT, PBE
State: optimized geometry

Calculated values
- density of states at the Fermi level (states/eV/atom) = 2.6589

Cell lengths 3.5588, 3.5588, 3.6931 Å; angles 90.00, 90.00, 120.00 degrees
Space group P3m1 (No. 156)
Symmetry-distinct sites (fractional):
Pu (0.0000, 0.0000, 0.0000) x1
Ni (0.6667, 0.3333, 0.5001) x1
C (0.3333, 0.6667, 0.4961) x1

---

Least stable = w

---

w.
Material: RbNiC2
Method: DFT, PBE
State: optimized geometry

Calculated values
- density of states at the Fermi level (states/eV/atom) = 0.9244

Cell lengths 6.0473, 6.0473, 6.0473 Å; angles 90.00, 90.00, 90.00 degrees
Space group Fm-3m (No. 225)
Symmetry-distinct sites (fractional):
Rb (0.0000, 0.0000, 0.0000) x4
Ni (0.0000, 0.0000, 0.5000) x4
C (0.2500, 0.2500, 0.2500) x8

---

x.
Material: RbNiC2
Method: DFT, PBE
State: optimized geometry

Calculated values
- density of states at the Fermi level (states/eV/atom) = 0.4499

Cell lengths 5.3474, 5.3474, 9.7379 Å; angles 90.00, 90.00, 90.00 degrees
Space group I4_1/amd (No. 141, origin choice 2)
Symmetry-distinct sites (fractional):
Rb (0.0000, 0.2500, 0.3750) x4
Ni (0.0000, 0.2500, 0.8750) x4
C (0.0000, 0.0000, 0.0000) x8

---

Least stable = w

---

w.
Material: RbNiC3
Method: DFT, PBE
State: optimized geometry

Calculated values
- density of states at the Fermi level (states/eV/atom) = 1.6990

Cell lengths 4.0463, 4.0463, 4.0463 Å; angles 90.00, 90.00, 90.00 degrees
Space group Pm-3m (No. 221)
Symmetry-distinct sites (fractional):
Rb (0.0000, 0.0000, 0.0000) x1
Ni (0.5000, 0.5000, 0.5000) x1
C (0.0000, 0.5000, 0.5000) x3

---

x.
Material: RbNiC3
Method: DFT, PBE
State: optimized geometry

Calculated values
- density of states at the Fermi level (states/eV/atom) = 0.7803

Cell lengths 4.3724, 4.3724, 4.3724 Å; angles 90.00, 90.00, 90.00 degrees
Space group Pm-3m (No. 221)
Symmetry-distinct sites (fractional):
Rb (0.0000, 0.0000, 0.0000) x1
Ni (0.5000, 0.5000, 0.5000) x1
C (0.0000, 0.0000, 0.5000) x3

---

Least stable = x


Below is a relaxed LaTiNbGe2 crystal, with properties calculated at the PBE level.

Values from the calculation:
Its space group is I-4m2. The uncorrected energy is -7.070 eV per atom. For the calculated formation energy, the calculation gives -62 kJ per mole of atoms.

Lattice parameters (Å, degrees): 4.1327 4.1327 12.2070 90.00 90.00 90.00
Last column: nearest neighbours and their distance in Å.
Fractional coordinates of all 10 atoms:
La1 0.0000 0.0000 0.0000  8 Ge 3.21
La2 0.5000 0.5000 0.5000  8 Ge 3.21
Ti1 0.0000 0.5000 0.7500  4 Ge 2.69, 4 Nb 2.92
=====
and station myself on the ramparts;
_Crystal structures, as found in the file_
No. 1
Entry from Alexandria via LeMat-Bulk: an optimized crystal structure of YTmZnAg (PBE-GGA).

POSCAR file:
```
YTmZnAg
1.0
3.5821 0.0000 0.0000
0.0000 3.5821 0.0000
0.0000 0.0000 7.1602
Y Tm Zn Ag
1 1 1 1
direct
0.0000 0.0000 0.0000 Y
0.0000 0.0000 0.4869 Tm
0.5000 0.5000 0.2501 Zn
0.5000 0.5000 0.7324 Ag
```

Theoretical density ... 7.8 g/cm3
Excess energy over the best structure of this formula in the dataset ... 0.0000 eV per atom

No. 2
Entry from Alexandria via LeMat-Bulk: an optimized crystal structure of CaPtAu2 (PBE-GGA).

POSCAR file:
```
CaPtAu2
1.0
0.0000 3.3941 3.3941
3.3941 0.0000 3.3941
3.3941 3.3941 0.0000
Ca Pt Au
1 1 2
direct
0.0000 0.0000 0.0000 Ca
0.2500 0.2500 0.2500 Pt
0.5000 0.5000 0.5000 Au
0.7500 0.7500 0.7500 Au
```

Theoretical density ... 13.4 g/cm3
Excess energy over the best structure of this formula in the dataset ... 0.1387 eV per atom

No. 3
Entry from Alexandria via LeMat-Bulk: an optimized crystal structure of NaPrAg (PBE-GGA).

POSCAR file:
```
NaPrAg
1.0
-1.8155 1.8155 6.6435
1.8155 -1.8155 6.6435
1.8155 1.8155 -6.6435
Na Pr Ag
1 1 1
direct
0.0000 0.0000 0.0000 Na
0.2805 0.2805 0.0000 Pr
0.6393 0.6393 0.0000 Ag
```

Theoretical density ... 5.2 g/cm3
Excess energy over the best structure of this formula in the dataset ... 0.0986 eV per atom

No. 4
Entry from Alexandria via LeMat-Bulk: an optimized crystal structure of KMgAlSn2 (PBE-GGA).

POSCAR file:
```
KMgAlSn2
1.0
-2.4239 2.4239 6.0537
2.4239 -2.4239 6.0537
2.4239 2.4239 -6.0537
K Mg Al Sn
1 1 1 2
direct
0.0000 0.0000 0.0000 K
0.2500 0.7500 0.5000 Mg
0.7500 0.2500 0.5000 Al
0.3796 0.3796 0.0000 Sn
0.6204 0.6204 0.0000 Sn
```

Theoretical density ... 3.8 g/cm3
E_tot ... -0.1114 hartree per atom

No. 5
Entry from Alexandria via LeMat-Bulk: an optimized crystal structure of ScOs (PBE-GGA).

POSCAR file:
```
ScOs
1.0
7.1064 0.0000 0.0000
0.0000 4.3515 0.0000
0.0000 0.0000 9.5037
Sc Os
8 8
direct
0.0981 0.2500 0.2502 Sc
0.1659 0.7500 0.0160 Sc
0.3341 0.2500 0.5160 Sc
0.4019 0.7500 0.7502 Sc
0.5981 0.2500 0.2498 Sc
0.6659 0.7500 0.4840 Sc
0.8341 0.2500 0.9840 Sc
0.9019 0.7500 0.7498 Sc
0.0414 0.7500 0.4412 Os
0.1346 0.2500 0.8085 Os
0.3654 0.7500 0.3085 Os
0.4586 0.2500 0.9412 Os
0.5414 0.7500 0.0588 Os
0.6347 0.2500 0.6915 Os
0.8654 0.7500 0.1915 Os
0.9586 0.2500 0.5588 Os
```

Theoretical density ... 10.6 g/cm3
E_tot ... -0.3303 hartree per atom

No. 6
Entry from Alexandria via LeMat-Bulk: an optimized crystal structure of Pr2P3Rh12Au (PBE-GGA).

POSCAR file:
```
Pr2P3Rh12Au
1.0
4.2372 2.4464 5.1829
-4.2372 2.4464 5.1829
0.0000 -4.8928 5.1829
Pr P Rh Au
2 3 12 1
direct
0.1038 0.1038 0.1038 Pr
0.8962 0.8962 0.8962 Pr
0.0000 0.5000 0.5000 P
0.5000 0.0000 0.5000 P
0.5000 0.5000 0.0000 P
0.1291 0.6483 0.6483 Rh
0.1691 0.1691 0.5850 Rh
0.1691 0.5850 0.1691 Rh
0.3517 0.3517 0.8709 Rh
0.3517 0.8709 0.3517 Rh
0.4150 0.8309 0.8309 Rh
0.5850 0.1691 0.1691 Rh
0.6483 0.1291 0.6483 Rh
0.6483 0.6483 0.1291 Rh
0.8309 0.4150 0.8309 Rh
0.8309 0.8309 0.4150 Rh
I will look to see what he will say to me,
and what answer I am to give to this complaint.”
In this moment of utter uncertainty, we can “Look to see what the Lord will say”. There is hope always, however small, even in seasons of true despair. Look up and see….